Monitoring Board announces procedure and timetable for review of existing members and selection of new ones
02 May 2013
The Monitoring Board (MB) of the IFRS Foundation today announced the outcome of its meeting held on 11 April 2013 in London where the MB determined the procedure and time table for the assessment of existing members and selection of new ones against the membership criteria announced in March.
**Records of crystals that have nothing to do with the text**
~~~
For Rb2TlSn10, a DFT-relaxed cell (PBE, Alexandria) gives the calculated powder XRD pattern in this record (λ = 1.5418 Å (Cu Kα)).
Neutral-atom scattering factors, no anomalous dispersion.

Atomic structure:
Unit cell a=12.0334 b=12.9540 c=6.7090 alpha=90.00 beta=90.00 gamma=90.00
Space group Pbam (No. 55)
One atom of each set of equivalent atoms:
Rb 0.0391 0.1610 0.0000 [4 per cell]
Tl 0.0000 0.5000 0.5000 [2 per cell]
Sn 0.0732 0.2632 0.5000 [4 per cell]
Sn 0.1447 0.0252 0.5000 [4 per cell]
Sn 0.1727 0.7021 0.5000 [4 per cell]
Sn 0.2402 0.3713 0.2334 [8 per cell]

Most intense lines, 5° ≤ 2θ ≤ 70°, sorted by position:
- hkl 0 0 1, d = 6.709 Å, 2θ 13.2, I 100
- hkl 1 2 0, d = 5.703 Å, 2θ 15.5, I 23
- hkl 3 2 0, d = 3.410 Å, 2θ 26.1, I 26
- hkl 3 1 1, d = 3.327 Å, 2θ 26.8, I 29
- hkl 2 0 2, d = 2.934 Å, 2θ 30.5, I 81
- hkl 0 4 1, d = 2.916 Å, 2θ 30.7, I 43
~~~
The Monitoring Board's Final Report on the Review of the IFRS Foundation's Governance published in February 2012 identified a number of enhancements to the governance framework including expanding the Monitoring Board’s membership and beginning periodic assessments of the members against membership criteria.
These criteria were announced on 1 March 2013:
- The jurisdiction has made a clear commitment to IFRSs and promotes global acceptance of a single set of high quality international accounting standards. It mandates or permits the application of IFRSs to consolidated financial statements of companies raising capital in its relevant market.
- The IFRSs to be applied are essentially aligned with IFRSs developed by the IASB.
These crystal structures were left in the text by mistake:
<<<
Entry 1:
The following is a calculated powder diffraction line list of Pr2Ni7P4. It was derived from a DFT-relaxed cell (GGA-PBE, Alexandria), using Cu Kα (weighted mean of Kα1 and Kα2).

Atomic structure:
```
Pr2Ni7P4
1.0
3.774 0.000 0.000
0.000 9.275 0.000
0.000 0.000 10.512
Pr Ni P
4 14 8
direct
0.000 0.062 0.000
0.000 0.436 0.216
0.500 0.564 0.716
0.500 0.938 0.500
0.000 0.062 0.696
0.000 0.095 0.303
0.000 0.305 0.792
0.000 0.416 0.519
0.000 0.680 0.476
0.000 0.726 0.889
0.000 0.748 0.119
0.500 0.252 0.619
0.500 0.274 0.389
0.500 0.320 0.976
0.500 0.584 0.019
0.500 0.695 0.292
0.500 0.905 0.803
0.500 0.938 0.196
0.000 0.183 0.505
0.000 0.477 0.933
0.000 0.816 0.690
0.000 0.842 0.306
0.500 0.158 0.806
0.500 0.184 0.190
0.500 0.523 0.433
0.500 0.817 0.005
```

Largest 10 diffraction maxima, in order of rising 2θ, 2θ from 10° to 80°:
- 2θ 32.01, rel. 19
- 2θ 35.09, rel. 25
- 2θ 36.30, rel. 100
- 2θ 37.61, rel. 79
- 2θ 40.14, rel. 29
- 2θ 43.06, rel. 25
- 2θ 46.99, rel. 35
- 2θ 48.23, rel. 43
- 2θ 67.93, rel. 23
- 2θ 69.62, rel. 21



Entry 2:
The following is a calculated powder diffraction line list of Pr9Ni26P12. It was derived from a DFT-relaxed cell (GGA-PBE, Alexandria), using Cu Kα (weighted mean of Kα1 and Kα2).

Atomic structure:
```
Pr9Ni26P12
1.0
14.437 0.000 0.000
-7.219 12.503 0.000
0.000 0.000 3.899
Pr Ni P
9 26 12
direct
0.048 0.524 0.000
0.091 0.182 0.500
0.091 0.909 0.500
0.476 0.524 0.000
0.476 0.952 0.000
0.481 0.240 0.000
0.760 0.240 0.000
0.760 0.519 0.000
0.818 0.909 0.500
0.000 0.000 0.000
0.121 0.408 0.500
0.121 0.712 0.500
0.223 0.612 0.500
0.268 0.536 0.000
0.268 0.732 0.000
0.286 0.005 0.000
0.286 0.143 0.500
0.286 0.281 0.000
0.288 0.408 0.500
0.288 0.879 0.500
0.388 0.612 0.500
0.388 0.777 0.500
0.464 0.732 0.000
0.569 0.139 0.500
0.569 0.431 0.500
0.592 0.712 0.500
0.592 0.879 0.500
0.667 0.333 0.500
0.719 0.005 0.000
0.719 0.714 0.000
0.857 0.143 0.500
0.857 0.714 0.500
0.861 0.431 0.500
0.995 0.281 0.000
0.995 0.714 0.000
0.182 0.363 0.000
0.182 0.818 0.000
0.185 0.093 0.000
0.387 0.057 0.500
0.387 0.329 0.500
0.637 0.818 0.000
0.671 0.057 0.500
0.671 0.613 0.500
0.907 0.093 0.000
0.907 0.815 0.000
0.943 0.329 0.500
0.943 0.613 0.500
```

Largest 10 diffraction maxima, in order of rising 2θ, 2θ from 10° to 80°:
- 2θ 34.62, rel. 24
- 2θ 36.85, rel. 100
- 2θ 37.37, rel. 11
- 2θ 40.35, rel. 16
- 2θ 44.06, rel. 23
- 2θ 46.59, rel. 26
- 2θ 50.58, rel. 14
- 2θ 56.68, rel. 20
- 2θ 66.05, rel. 13
- 2θ 71.24, rel. 23

* * * * *

# 1
The following is a computed PXRD pattern of BaPaTe4. It was derived from DFT lattice parameters and positions (GGA-PBE), using a wavelength of 1.5418 Å.

Structure:
Unit cell a=7.135 b=7.135 c=8.658 alpha=90.00 beta=90.00 gamma=90.00
Space group P4/mbm (No. 127)
Unique sites:
Ba: 0.000 0.000 0.000 (multiplicity 2)
Pa: 0.000 0.000 0.500 (multiplicity 2)
Te: 0.207 0.293 0.288 (multiplicity 8)

Most intense lines, 10° ≤ 2θ ≤ 90°, low angle first:
>>>
- The jurisdiction can be regarded a major market for capital-raising in the global context.
- The jurisdiction makes financial contributions to the setting of IFRSs on a continuing basis.
- The jurisdiction has in place and in operation a robust enforcement mechanism.
- The relevant national or regional standard-setting body actively contributes to the development of IFRSs.
At the meeting held on 11 April, the MB agreed on the following three procedures for expending the current membership and assessing the existing members:
Selection of new member candidates (with the exception of rotating members)
- The Monitoring Board will issue a public call for nominations.
- The Monitoring Board will complete the selection of new members in accordance with the Monitoring Board membership criteria.
Selection of new rotating members (to be selected in consultation with IOSCO)
Calculated crystals, as found in the file =
____________
[1]
Theoretical XRD peak list of LiNiP2O7 for Cu Kα, 1.54184 Å, from DFT lattice parameters and positions (GGA+U).
Kinematic intensities with the Lorentz-polarization factor, no thermal factor.

Cell and atoms:
a b c (Å): 5.024 8.423 6.926
angles (deg): 90.00 109.20 90.00
Space group P2_1 (No. 4)
Asymmetric unit:
Li 0.231 0.000 0.246
Ni 0.193 0.636 0.181
P 0.186 0.696 0.553
P 0.396 0.304 0.039
O 0.055 0.154 0.376
O 0.109 0.800 0.356
O 0.203 0.158 0.009
O 0.240 0.463 0.014
O 0.330 0.553 0.482
O 0.412 0.803 0.093
O 0.416 0.799 0.721

Top 10 peaks for 10° ≤ 2θ ≤ 80°, in order of rising 2θ:
- (0 0 1), 2θ = 13.5°, rel. 21
- (0 1 1), 2θ = 17.2°, rel. 24
- (0 2 0), 2θ = 21.1°, rel. 74
- (1 1 0), 2θ = 21.5°, rel. 100
- (1 1 -1), 2θ = 21.9°, rel. 61
- (1 0 1), 2θ = 26.6°, rel. 45
- (1 2 0), 2θ = 28.3°, rel. 31
- (1 2 -1), 2θ = 28.6°, rel. 50
- (0 1 2), 2θ = 29.3°, rel. 33
- (1 1 -2), 2θ = 29.6°, rel. 20

[2]
Theoretical XRD peak list of LiNiPO4 for Cu Kα, 1.54184 Å, from DFT lattice parameters and positions (GGA+U).
Kinematic intensities with the Lorentz-polarization factor, no thermal factor.

Cell and atoms:
a b c (Å): 7.3918 7.3918 9.4653
angles (deg): 90.00 90.00 120.00
Space group P31c (No. 159)
Asymmetric unit:
Li 0.0501 0.2588 0.0000
Ni 0.0625 0.5923 0.2244
P 0.0000 0.0000 0.2496
P 0.3333 0.6667 0.5252
P 0.3333 0.6667 0.9206
O 0.0000 0.0000 0.4121
O 0.1019 0.8748 0.1904
O 0.1112 0.5052 0.5735
O 0.1581 0.7078 0.8721
O 0.3333 0.6667 0.0914
O 0.3333 0.6667 0.3559

Top 10 peaks for 10° ≤ 2θ ≤ 80°, in order of rising 2θ:
- (1 0 0), 2θ = 13.8°, rel. 45
- (0 0 2), 2θ = 18.7°, rel. 69
- (1 1 0), 2θ = 24.1°, rel. 65
- (2 0 0), 2θ = 27.9°, rel. 54
- (2 -1 2), 2θ = 30.7°, rel. 87
- (1 0 3), 2θ = 31.6°, rel. 62
- (2 0 2), 2θ = 33.8°, rel. 100
- (2 1 1), 2θ = 38.4°, rel. 32
- (3 0 1), 2θ = 43.5°, rel. 29
- (2 1 3), 2θ = 47.3°, rel. 31

[3]
Theoretical XRD peak list of LiNi4P3O12 for Cu Kα, 1.54184 Å, from DFT lattice parameters and positions (GGA+U).
Kinematic intensities with the Lorentz-polarization factor, no thermal factor.

Cell and atoms:
a b c (Å): 11.614 12.445 6.422
angles (deg): 90.00 115.75 90.00
Space group Cc (No. 9)
Asymmetric unit:
Li 0.000 0.019 0.000
Ni 0.007 0.492 0.726
Ni 0.215 0.159 0.383
Ni 0.283 0.340 0.118
Ni 0.497 0.237 0.996
P 0.228 0.108 0.879
P 0.269 0.394 0.621
P 0.499 0.202 0.498
O 0.039 0.227 0.216
O 0.097 0.378 0.975
O 0.121 0.413 0.553
O 0.155 0.001 0.852
O 0.161 0.168 0.644
O 0.218 0.178 0.071
O 0.275 0.323 0.429
O 0.334 0.333 0.854
O 0.344 0.500 0.148
O 0.375 0.095 0.944
O 0.403 0.119 0.517
O 0.457 0.274 0.282

Top 10 peaks for 10° ≤ 2θ ≤ 80°, in order of rising 2θ:
- (1 1 0), 2θ = 11.0°, rel. 56
- (0 2 0), 2θ = 14.2°, rel. 33
- (3 1 0), 2θ = 26.5°, rel. 58
- (1 1 -2), 2θ = 29.1°, rel. 25
- (3 1 -2), 2θ = 31.3°, rel. 33
- (2 2 -2), 2θ = 31.6°, rel. 24
- (2 4 0), 2θ = 33.5°, rel. 100
- (4 0 0), 2θ = 34.3°, rel. 50
- (1 3 -2), 2θ = 35.7°, rel. 39
- (3 1 -3), 2θ = 43.2°, rel. 24

[4]
____________
- The MB determines the selection procedure in consultation with IOSCO, and IOSCO will be asked to recommend candidates.
- The Monitoring Board will complete the selection of rotating members in accordance with the Monitoring Board membership criteria.
Assessment process of existing members
- All existing Monitoring Board members will be assessed in accordance with the Monitoring Board membership criteria.
The timetable for these procedures, which are to be conducted in parallel, is rather vague, however, the MB "anticipates completion of the process in 2013".
Please click for access to the press release on the Monitoring Board website.